Shubhangi Sainaam
3 min readAug 19, 2021


Anyone who has gone through the torment of losing a pet would know the hardships that come with it. How it feels when people just ask you about when you’re going to ‘get another one’ or something like ‘it was probably for the best’. It is just as offensive to say about pets as it is to say about an old person. Losing a pet is emotionally devastating, yet our society fails to acknowledge the kind of impairment it causes to one.

Although it is only natural for them to leave, it feels far from it. The void that losing them leaves in our hearts is quite hard to fill. As psychologist Julie Axelrod writes in a blog post the loss of a dog is so painful because people are losing a little life that we were responsible for as well as a source of unconditional love and companionship

Data records, as found in the file:
┌──
(P)
DFT (PBE) results for an optimized crystal structure of Ce3TlH.

M_tot (μB/f.u.): 3.5
Symmetry: Pm-3m
D(E_F) (states/eV per atom): 2.61

a = 4.8913 Å, b = 4.8913 Å, c = 4.8913 Å
α = 90.00°, β = 90.00°, γ = 90.00°
Atoms (fractional coordinates):
Ce 0.0000 0.0000 0.5000
Ce 0.0000 0.5000 0.0000
Ce 0.5000 0.0000 0.0000
Tl 0.5000 0.5000 0.5000
H 0.0000 0.0000 0.0000

***

(Q)
DFT (PBE) results for an optimized crystal structure of Ce3TlH.

M_tot (μB/f.u.): 2.1
Symmetry: Pmn2_1
D(E_F) (states/eV per atom): 2.51

a = 6.6355 Å, b = 5.8946 Å, c = 5.8430 Å
α = 90.00°, β = 90.00°, γ = 90.00°
Atoms (fractional coordinates):
Ce 0.0000 0.0666 0.0000
Ce 0.2441 0.6678 0.9905
Ce 0.2559 0.3322 0.4905
Ce 0.5000 0.9334 0.5000
Ce 0.7441 0.3322 0.4905
Ce 0.7559 0.6678 0.9905
Tl 0.0000 0.8234 0.4949
Tl 0.5000 0.1766 0.9949
H 0.0000 0.4109 0.7926
H 0.5000 0.5891 0.2926

***

Relative energies, kJ/mol of atoms: (P) 0.0; (Q) 1.6.

***

(P)
DFT (PBE) results for an optimized crystal structure of CeTlH.

M_tot (μB/f.u.): 1.3
Symmetry: I4mm
D(E_F) (states/eV per atom): 2.05

a = 6.3850 Å, b = 6.3850 Å, c = 6.3850 Å
α = 150.21°, β = 150.21°, γ = 42.64°
Atoms (fractional coordinates):
Ce 0.0000 0.0000 0.0000
Tl 0.2758 0.2758 0.0000
H 0.5399 0.5399 0.0000

***

(Q)
DFT (PBE) results for an optimized crystal structure of CeTlH.

M_tot (μB/f.u.): 0.5
Symmetry: P-6m2
D(E_F) (states/eV per atom): 1.68

a = 3.8488 Å, b = 3.8488 Å, c = 5.1236 Å
α = 90.00°, β = 90.00°, γ = 120.00°
Atoms (fractional coordinates):
Ce 0.0000 0.0000 0.0000
Tl 0.6667 0.3333 0.5000
H 0.3333 0.6667 0.0000

***

(R)
DFT (PBE) results for an optimized crystal structure of CeTlH.

M_tot (μB/f.u.): 1.2
Symmetry: R-3m
D(E_F) (states/eV per atom): 1.96

a = 11.1137 Å, b = 11.1137 Å, c = 11.1137 Å
α = 19.34°, β = 19.34°, γ = 19.34°
Atoms (fractional coordinates):
Ce 0.1190 0.1190 0.1190
Ce 0.8810 0.8810 0.8810
Tl 0.3699 0.3699 0.3699
Tl 0.6301 0.6301 0.6301
H 0.1897 0.1897 0.1897
H 0.8103 0.8103 0.8103

***

(S)
DFT (PBE) results for an optimized crystal structure of CeTlH.

M_tot (μB/f.u.): 0.8
Symmetry: Cmcm
D(E_F) (states/eV per atom): 2.27

a = 6.7612 Å, b = 6.7612 Å, c = 4.5533 Å
α = 90.00°, β = 90.00°, γ = 144.06°
Atoms (fractional coordinates):
Ce 0.1665 0.8335 0.7500
Ce 0.8335 0.1665 0.2500
Tl 0.4281 0.5719 0.7500
Tl 0.5719 0.4281 0.2500
H 0.2461 0.7539 0.2500
H 0.7539 0.2461 0.7500

***

Relative energies, kJ/mol of atoms: (P) 23.8; (Q) 8.5; (R) 12.1; (S) 0.0.

* * * * *

1.
A plane-wave DFT calculation with PBE was carried out for crystalline CePmCo2P2 at its relaxed geometry.

Properties
formation energy: -615 kJ/mol of formula units

Cell: 3.8966 3.8966 8.0180 Å, 90.00 90.00 120.00°
Space group P-3m1 (No. 164)
Unique sites:
Ce (0.0000, 0.0000, 0.0000) x1
Pm (0.0000, 0.0000, 0.5000) x1
Co (0.3333, 0.6667, 0.2292) x2
P (0.3333, 0.6667, 0.7444) x2

***

2.
A plane-wave DFT calculation with PBE was carried out for crystalline AcNF at its relaxed geometry.

Properties
└──

A friend hugging another friend

It is not easy to know what to say to someone in this situation but offering some support is only human. One can’t get past this alone, even if you might feel that way. Studies have found that social support is a crucial ingredient in recovering from grief of all kinds

Many people prefer to isolate themselves and hope to heal but I believe denying to deal with emotions would be the worst way to go about it.

Sometimes you might have people around yet not have anyone truly feel or empathise the loss in your life. Everyone has to deal with grief sometime, and most people take their own time. But if you’re under stress or trying to deal with other serious problems at the same time, it is understood that it can be overwhelming. If your sadness is intense or you think you’re upset about more than the death of your pet, there is no problem with seeing a professional counsellor or therapist. There is no shame in feeling the severity of pain one does just because the society doesn’t validate that.

Many animal clinics over the world offer bereavement groups for pet owners which is just as same a normal bereavement group for people who’ve lost their loved ones. Support groups would undoubtedly be the right place to confide in as it will provide your loss the recognition, consideration and support it deserves along with people to empathise with.

Hence it is up for you to choose the people you want to surround yourself with and especially in these difficult times. “It is necessary and vital to set standards for your life and the people you allow in it” ~Mandy Hale

Following are the resources you can reach out

Association for Pet Loss and Bereavement
The American Veterinary Medical Association
The Pet Loss Grief Support Web Site
Harmony Animal Hospital
The Rainbow Bridge

